Decision How to Deploy Compositions and XRDs


We need to deploy XRDs and Compositions for the Application Catalog to Kubernetes clusters using Project Syn, our config management system. Using Project Syn can be seen as a constraint.

Writing the Compositions and Composites ("XRDs") in plain YAML tends to become very verbose and large. Most of the YAML consist of patch operations and many of those are very similar to one another. This makes maintaining and understanding the Compositions very hard. Having helpers with engineering Compositions and XRDs would be a welcomed bonus for the solution.


  • Manage XRDs

  • Manage Compositions

  • Manage Providers and their configuration

  • Promote re-usability were possible

  • Help with developing XRDs and Compositions

  • Should support Crossplane packages in the future

  • Should support APPUiO Managed in the future


Proposal 1: Commodore Packages With Resources Verbatim

This proposal will enhance the Commodore Component component-crossplane in such a way that it can also deploy XRDs and Compositions via parameters. The definitions for the XRDs and Compositions will live in Commodore Packages. Commodore Packages are used to define XRDs, Compositions and Crossplane Providers in plain YAML (no Jsonnet processing). These packages will be very fine-grained, so there’s a package just to deploy provider-cloudscale, one for provider-exoscale, etc.

They will then be mixed and matched as needed on the various targets. Those targets can be APPUiO Cloud clusters, APPUiO Managed clusters, or simply manifests that could be packaged for general Crossplane usage.

  • Verbosity of plain YAML isn’t abstracted again.

  • Authoring the packages encourages a lot of copy and paste of YAML snippets.

  • The burden of maintaining the resources in plain YAML increases.

Figure 1. Resources deployed via Commodore Packages with plain YAML resources

Proposal 2: Commodore Component With Jsonnet Processing

........
Entry 1:
This entry pairs a crystal structure of Dy6ZnHg2 with its computed XRD peak list. Radiation: Cu Kα (λ = 1.5418 Å). Structure: a DFT-relaxed cell (GGA-PBE, Alexandria).
Neutral-atom scattering factors, no anomalous dispersion.

Main lines, by angle (15° ≤ 2θ ≤ 90°):
21.58 deg, d = 4.118 Å, rel. 254
24.97 deg, d = 3.566 Å, rel. 146
35.61 deg, d = 2.521 Å, rel. 1000
51.30 deg, d = 1.781 Å, rel. 119
63.91 deg, d = 1.457 Å, rel. 243
64.04 deg, d = 1.454 Å, rel. 122

Crystal structure
```
9
Lattice="-2.516 3.574 7.564 2.516 -3.574 7.564 2.516 3.574 -7.564" Properties=species:S:1:pos:R:3 pbc="T T T"
Dy 2.516 1.759 -2.480
Dy 0.000 1.736 0.000
Dy 2.516 1.759 2.480
Dy 0.000 1.814 5.084
Dy 0.000 5.412 0.000
Dy 0.000 1.814 10.045
Zn 2.516 0.000 0.000
Hg 2.516 0.000 5.042
Hg 0.000 3.574 2.522
```

Entry 2:
This entry pairs a crystal structure of Dy7Zn2Hg2 with its computed XRD peak list. Radiation: Cu Kα (λ = 1.5418 Å). Structure: a DFT-relaxed cell (GGA-PBE, Alexandria).
Neutral-atom scattering factors, no anomalous dispersion.

Main lines, by angle (15° ≤ 2θ ≤ 90°):
26.38 deg, d = 3.379 Å, rel. 461
27.54 deg, d = 3.239 Å, rel. 585
28.58 deg, d = 3.123 Å, rel. 381
32.56 deg, d = 2.750 Å, rel. 679
36.08 deg, d = 2.489 Å, rel. 436
37.38 deg, d = 2.406 Å, rel. 1000

Crystal structure
```
11
Lattice="3.773 -5.501 0.000 3.773 5.501 0.000 0.000 0.000 7.587" Properties=species:S:1:pos:R:3 pbc="T T T"
Dy 0.000 0.000 0.000
Dy 1.887 2.750 2.113
Dy 1.887 2.750 5.474
Dy 1.887 -2.750 2.113
Dy 1.887 -2.750 5.474
Dy 3.773 0.000 1.853
Dy 3.773 0.000 5.734
........

A new Commodore Component component-appcat will contain parameters and functions to render all the XRDs and Compositions that come in via Commodore Packages. The component will act as a generator for the Compositions and the XRDs. We can use jsonnet functions and snippets to make the generation of the Compositions and XRDs easier. This also promotes re-usability of snippets. The composition exposes parameters to enable and configure the various XRDs and Compositions.

Due to the current lack of conditionals in Crossplane, Jsonnet can be used to create permutations of Compositions for various conditions. Compositions for PostgreSQL with SLA and PostgreSQL without SLA can be generated from the same base.

The parameters in the packages will follow a structure that is optimized for jsonnet generator and the user, therefore the resources get abstracted again.

  • Leverages Jsonnet to generate YAML files, reducing a lot of boilerplate YAML.

  • Complexity of the stack increases.

  • The resources in the packages are abstracted again.

Figure 2. Resources deployed via Commodore Packages and Jsonnet

The main difference between Proposal 1 and 2 is the use of jsonnet in Proposal 2.

The packages can all live in the same, single Git repository (in different files and folders). It’s not required that there is a Git repository for each and every package. However, if using a single Git repo, all resources share the same versions.

Proposal 3: Commodore Component Without Packages

The Commodore Component component-appcat renders all XRDs, Compositions, and Providers. We don’t use any Commodore Packages but write all XRDs and Compositions in Jsonnet. Any configuration will be provided directly as parameters to the component-appcat.

Figure 3. Resources deployed via Commodore Packages and Jsonnet
  • Leverages Jsonnet to generate YAML files, reducing a lot of boilerplate YAML.

  • Reduced mental load thanks to fewer layers of abstraction.

  • Commodore Components are a lot more mature than Commodore Packages.

  • We already have experience with writing maintainable Commodore Components.

  • Complexity of Jsonnet.

  • Less flexibility.


Proposal 3


A Package based solutions have the potential to be more flexible. However, they introduce another layer of abstraction, and it’s hard to reason about multiple interacting packages.

By using an opinionated Commodore Component to deploy all XRDs, Compositions, and Providers, we have a single source for all resources. We can completely leverage the benefits of Jsonnet, reduce boilerplate, and simplify complex configuration by providing a more opinionated interface.

### Attached: data records
- - -
Theoretical PXRD pattern of NpInFeO6 for a wavelength of 1.5418 Å, from a crystal structure in Alexandria, relaxed with PBE+U.
Peak positions follow from Bragg's law for the DFT cell and can differ from measured ones.

Atomic structure:
a b c (Å): 4.900 4.900 9.677
angles (deg): 90.00 90.00 90.00
Space group P4_2nm (No. 102)
Asymmetric unit:
Np  0.000  0.000  0.000 (multiplicity 2)
In  0.000  0.000  0.334 (multiplicity 2)
Fe  0.000  0.000  0.665 (multiplicity 2)
O  0.186  0.186  0.831 (multiplicity 4)
O  0.198  0.198  0.508 (multiplicity 4)
O  0.204  0.204  0.158 (multiplicity 4)

The 8 most intense peaks (15 to 90 degrees two-theta), sorted by position:
| 2θ/deg | d (Å) | Rel. int. |
| --- | --- | --- |
| 20.32 | 4.371 | 428 |
| 25.71 | 3.465 | 1000 |
| 33.25 | 2.694 | 820 |
| 36.68 | 2.450 | 247 |
| 50.34 | 1.813 | 672 |
| 52.85 | 1.732 | 165 |
| 59.68 | 1.549 | 161 |
| 63.89 | 1.457 | 197 |

* * * * *

(1)
Structure and computed powder diffractogram of La12NdY7 (a structure optimized by DFT (GGA-PBE); Cu Kα (λ = 1.5418 Å)).
No peak broadening, texture or thermal motion is included.

Principal peaks in the range 2θ from 15° to 90°, in order of rising 2θ:
| d (Å) | I_rel | (hkl) |
| --- | --- | --- |
| 3.200 | 16 | 1 3 1 |
| 3.130 | 57 | 1 0 4 |
| 2.943 | 78 | 3 1 2 |
| 2.924 | 68 | 0 3 3 |
| 2.901 | 100 | 4 0 1 |
| 2.705 | 48 | 0 4 2 |
| 1.899 | 25 | 3 0 6 |
| 1.718 | 26 | 4 4 0 |
| 1.676 | 32 | 4 3 4 |
| 1.645 | 18 | 0 7 2 |

Structural model:
```
data_La12NdY7
_chemical_formula_sum 'La36 Nd3 Y21'
_cell_length_a 13.7459
_cell_length_b 13.7459
_cell_length_c 12.9747
_cell_angle_alpha 90.00
_cell_angle_beta 90.00
_cell_angle_gamma 120.00
_space_group_name_H-M_alt 'R -3 m'
_space_group_IT_number 166
_space_group_name_Hall '-R 3 2"'
loop_
_atom_site_label
_atom_site_type_symbol
_atom_site_fract_x
_atom_site_fract_y
_atom_site_fract_z
La1 La 0.0000 0.2600 0.0000
La2 La 0.0896 0.1792 0.7653
Nd1 Nd 0.0000 0.0000 0.5000
Y1 Y 0.0000 0.0000 0.0000
Y2 Y 0.0457 0.5229 0.1188
```

=====

(2)
Structure and computed powder diffractogram of TaMo (a structure optimized by DFT (GGA-PBE); Cu Kα (λ = 1.5418 Å)).
No peak broadening, texture or thermal motion is included.

Principal peaks in the range 2θ from 15° to 90°, in order of rising 2θ:
| d (Å) | I_rel | (hkl) |
| --- | --- | --- |
| 4.876 | 3 | 0 0 2 |
| 3.060 | 8 | 1 0 1 |
| 2.289 | 100 | 1 0 3 |
| 2.279 | 50 | 1 1 0 |
| 1.625 | 8 | 0 0 6 |
| 1.611 | 17 | 2 0 0 |
| 1.323 | 17 | 1 1 6 |
| 1.317 | 34 | 2 1 3 |
| 1.144 | 11 | 2 0 6 |
| 1.139 | 6 | 2 2 0 |

Structural model:
```
data_TaMo
_chemical_formula_sum 'Ta3 Mo3'
_cell_length_a 3.2226
_cell_length_b 3.2226
_cell_length_c 9.7519
- - -

Commodore Packages are not yet well established, while Commodore Components are well understood, mature, and used extensively throughout VSHN,

We deemed the advantages of an opinionated Commodore more important than the lost flexibility.